Can Mexico Save its Forest Legacy?

Mexico's forests hold immense biodiversity but suffer from neglect and illegal logging. Dr. Piñero Dalmau urges for science-backed policy that allows communities to sustainably benefit from forests, ensuring their health for future generations.

Can Mexico Save its Forest Legacy?
Mexico's diverse forests, a treasure under threat.

Mexico occupies first place in the world for the number and diversity of pines and oaks; In contrast, it has reforestation programs, but without a sustainable economic approach; There is no data on what is planted and what survives, says researcher and former director of the Institute of Ecology, UNAM, Daniel Piñero Dalmau.

He believes that adding to this inconvenience is the serious problem of the timber trade, since in some regions, including around Mexico City, it has fallen into the hands of illegal loggers. Helping to conserve the wealth of our forests “is in all of our interests; “It is for our own survival.”

This is a resource that can help communities live, the expert emphasizes; The knowledge we have about them is so great that state, regional and national programs can be developed to take advantage of them.

It is important that Mexico resumes a forestry policy, especially considering the communities, he details on the occasion of the International Day of Forests, which is celebrated on March 21, with the theme “Forests and innovation: new solutions for a world better”.

It should be noted that, according to the United Nations, the fight against deforestation requires new technological advances. “With 10 million hectares lost annually due to the disappearance of forests and approximately 70 million hectares devastated by fires, these technological innovations are essential for early warning systems and the sustainable production of raw materials.”

Materials data from another source follow =
Entry 1:
Crystalline SrMgSn at its relaxed geometry, computed with r2SCAN.

Computed properties:
- Calculated total energy: -15.339 eV per atom

a = 8.220 Å, b = 4.874 Å, c = 8.878 Å
α = 90.00°, β = 90.00°, γ = 90.00°
Space group Pnma (No. 62)
Inequivalent atoms, fractional coordinates:
Sr 0.012 0.250 0.189 [4 per cell]
Mg 0.147 0.250 0.566 [4 per cell]
Sn 0.222 0.750 0.392 [4 per cell]



Entry 2:
Crystalline Si at its relaxed geometry, computed with r2SCAN.

Computed properties:
- Polymorph energy (0 for the lowest one): 0.66 eV/f.u.
- Calculated total energy: -8.109 eV per atom

a = 3.293 Å, b = 9.151 Å, c = 3.999 Å
α = 90.00°, β = 90.00°, γ = 90.00°
Space group Cmcm (No. 63)
Inequivalent atoms, fractional coordinates:
Si 0.000 0.112 0.250 [4 per cell]
Si 0.000 0.387 0.250 [4 per cell]



Entry 3:
Crystalline TmB4Ir4 at its relaxed geometry, computed with r2SCAN.

Computed properties:
- Calculated total energy: -30.995 eV per atom

a = 5.374 Å, b = 5.374 Å, c = 7.409 Å
α = 90.00°, β = 90.00°, γ = 90.00°
Space group P4_2/nmc (No. 137, origin choice 2)
Inequivalent atoms, fractional coordinates:
Tm 0.250 0.750 0.250 [2 per cell]
B 0.077 0.250 0.097 [8 per cell]
Ir 0.001 0.750 0.605 [8 per cell]



Entry 4:
Crystalline SiO2 at its relaxed geometry, computed with r2SCAN.

Computed properties:
- Calculated total energy: -9.921 eV per atom

a = 7.122 Å, b = 7.122 Å, c = 17.770 Å
α = 90.00°, β = 90.00°, γ = 90.00°
Space group I4_1/amd (No. 141, origin choice 2)
Inequivalent atoms, fractional coordinates:
Si 0.000 0.030 0.090 [16 per cell]
O 0.000 0.000 0.000 [8 per cell]
O 0.000 0.250 0.109 [8 per cell]
O 0.186 0.064 0.875 [16 per cell]



Entry 5:
Crystalline NdHo3 at its relaxed geometry, computed with r2SCAN.

Computed properties:
- Polymorph energy (0 for the lowest one): 0.17 eV/f.u.
- Calculated total energy: -31.969 eV per atom

a = 5.052 Å, b = 5.052 Å, c = 10.073 Å
α = 90.00°, β = 90.00°, γ = 90.00°
Space group I4/mmm (No. 139)
Inequivalent atoms, fractional coordinates:
Nd 0.000 0.000 0.000 [2 per cell]
Ho 0.000 0.000 0.500 [2 per cell]
Ho 0.000 0.500 0.250 [4 per cell]



Entry 6:
Crystalline Al2H12Se3O15 at its relaxed geometry, computed with r2SCAN.

Computed properties:
- Calculated total energy: -7.224 eV per atom

a = 8.7189 Å, b = 8.7189 Å, c = 10.7400 Å
α = 90.00°, β = 90.00°, γ = 120.00°
Space group P-62c (No. 190)
Inequivalent atoms, fractional coordinates:
Al 0.3333 0.6667 0.0311 [4 per cell]
H 0.0551 0.4805 0.5961 [12 per cell]
H 0.1985 0.4223 0.6374 [12 per cell]
Se 0.1234 0.7430 0.2500 [6 per cell]
O 0.0936 0.7673 0.7500 [6 per cell]
O 0.1326 0.6192 0.1274 [12 per cell]
O 0.1652 0.4818 0.5716 [12 per cell]



Entry 7:
Crystalline Y2O3 at its relaxed geometry, computed with r2SCAN.

Computed properties:
- Calculated total energy: -15.555 eV per atom

a = 3.6557 Å, b = 3.6557 Å, c = 5.8411 Å
α = 90.00°, β = 90.00°, γ = 120.00°
Space group P-3m1 (No. 164)
Inequivalent atoms, fractional coordinates:

The international organization establishes that it is necessary to empower indigenous peoples, who are the guardians of most of the forests still intact in the world, through land mapping and access to climate financing, which will contribute to preserving its crucial role in biodiversity conservation and carbon sequestration.

Ecosystem restoration, including reforestation efforts, can also significantly contribute to mitigating climate change and improving food security while promoting sustainable wood products.

These terrestrial ecosystems, the organization adds, are home to 80 percent of the known amphibian species; They contain more than 50 percent of the world's carbon stock in soils and vegetation; Forested watersheds and wetlands provide 75 percent of the planet's accessible freshwater. But more than 30 percent of new diseases since 1960 are attributed to land use change, including deforestation.


The researcher from the Department of Evolutionary Ecology explains that, in general, there are two types of forests: temperate and tropical. The first are the “typical” ones, of one or a few species, for example, firs or pines; there are also hundreds of species, called jungles.

Mexico, a megadiverse country, has tropical, temperate, dry, or humid forests, present in the mountains of Chiapas, Madre Oriental and Madre Occidental, as well as in the Trans-Mexican Volcanic Belt, or in the southeast, in states such as Campeche and Quintana Roo, he points out.

According to the National Forest Information System, our country has 138.7 million hectares with forest vegetation coverage; That is, approximately 70.6 percent of the national territory is covered by temperate forests and jungles, but mangroves and arid and semi-arid ecosystems are also considered here.

Meanwhile, according to data from the National Forestry Commission, in the period 2001-2021, on average, 208,850 hectares per year have been lost due to deforestation, that is, “the permanent loss of forest vegetation due to induced or natural causes.

The main reasons for this decrease are its change to grasslands, at 74.43 percent; to agricultural land, at 21.41 percent; to human settlements, by 2.41 percent; to other uses, by 1.68 percent; and to wetlands, at 0.07 percent.

Forestry policy, believes the doctor in genetics, should be aimed at sustainably using these forests, “but in Mexico we have been very unlucky to do this.”

These sites, emphasizes Piñero Dalmau, provide environmental services, such as water and wood sources, in addition to, on many occasions, they function as tourist areas. They constitute a renewable resource that must be used, but in a sustainable way.

In the central region of the country, corresponding to the Trans-Mexican Volcanic Belt, the population is large. However, we should not have water problems, because the forests could generate sufficient reserves “for all of us who live from Colima to Veracruz.”

However, they are not conceived as providers of this and other services to the communities and, therefore, there is no investment in them either so that the inhabitants realize the importance they have. Faced with these ecosystems, “we must have a mixed position of conservation and, at the same time, rational use,” he estimates.


In the laboratory, Daniel Piñero and his collaborators use advanced genetic technologies to study forests and establish which are the most important regions to conserve.

“Data are obtained from the complete genome of the species and that information is used, for example, to find out what type of trees are tolerant to ozone in Mexico City to use them in reforestation. Knowledge has advanced a lot.”

The expert points out that places that have the greatest diversity of species must be conserved, so that evolutionary processes continue to occur in populations.

According to his research, “many of the pines that we have studied in the Sierra Madre Oriental and Occidental are species that have been generated in the last five or 10 million years; That is the historical perspective we have.” Its replacement rate could take at least another five million years.

We also know, he points out, that the endemic species of the mountain peaks from Colima to Veracruz are not connected: although a certain species from the Iztaccíhuatl or Ajusco forest seems the same to people, in reality the speciation processes are specific to each place; therefore both must be preserved. If the “patches” of vegetation in different areas are not preserved, the differentiation and divergence of local populations is prevented.

In Mexico we have so many ecosystems that we require conservation to be in all states, municipalities and cities, says Piñero Dalmau.

In 2012, the United Nations General Assembly proclaimed March 21 as the International Day of Forests. Through this celebration, tribute is paid to the importance of all the types there are, and an attempt is made to raise awareness about it.